Material
-- begin --
SnO2: optimized geometry, PBE.

Results
Symmetry = P1
Formation enthalpy at 0 K = -1604 meV/atom
Density = 5.8 g/cm3

Cell: 10.808 11.646 11.692 Å, 93.44 91.28 97.75°
Atoms (fractional coordinates):
Sn1 0.000 0.000 0.000
Sn2 0.001 0.556 0.817
Sn3 0.010 0.701 0.463
Sn4 0.014 0.026 0.527
Sn5 0.020 0.877 0.741
Sn6 0.062 0.237 0.879
Sn7 0.064 0.478 0.241
Sn8 0.158 0.234 0.198
Sn9 0.185 0.791 0.202
Sn10 0.218 0.537 0.537
Sn11 0.250 0.761 0.763
Sn12 0.271 0.073 0.777
Sn13 0.306 0.619 0.031
Sn14 0.314 0.879 0.511
Sn15 0.341 0.106 0.369
Sn16 0.354 0.326 0.662
Sn17 0.424 0.159 0.059
Sn18 0.454 0.691 0.393
Sn19 0.496 0.639 0.748
Sn20 0.505 0.445 0.938
Sn21 0.528 0.463 0.204
Sn22 0.534 0.945 0.907
Sn23 0.608 0.246 0.740
Sn24 0.613 0.820 0.197
Sn25 0.626 0.313 0.431
Sn26 0.649 0.986 0.441
Sn27 0.732 0.147 0.140
Sn28 0.754 0.770 0.952
Sn29 0.764 0.038 0.744
Sn30 0.771 0.623 0.651
Sn31 0.808 0.435 0.030
Sn32 0.884 0.234 0.391
Sn33 0.913 0.350 0.642
Sn34 0.916 0.907 0.247
O1 0.000 0.298 0.268
O2 0.025 0.778 0.308
O3 0.041 0.858 0.552
O4 0.042 0.100 0.359
O5 0.065 0.487 0.653
O6 0.067 0.539 0.408
O7 0.075 0.918 0.144
O8 0.078 0.173 0.044
O9 0.104 0.046 0.681
O10 0.135 0.976 0.879
O11 0.163 0.182 0.365
O12 0.166 0.615 0.159
O13 0.176 0.617 0.895
O14 0.183 0.710 0.544
O15 0.207 0.243 0.770
O16 0.213 0.400 0.197
O17 0.215 0.004 0.459
O18 0.246 0.368 0.542
O19 0.285 0.243 0.982
O20 0.299 0.117 0.191
O21 0.308 0.926 0.682
O22 0.309 0.799 0.338
O23 0.315 0.614 0.687
O24 0.318 0.791 0.081
O25 0.343 0.546 0.409
O26 0.378 0.032 0.920
O27 0.389 0.473 0.076
O28 0.409 0.274 0.921
O29 0.413 0.172 0.693
O30 0.440 0.800 0.812
O31 0.444 0.779 0.543
O32 0.445 0.256 0.381
O33 0.445 0.451 0.767
O34 0.456 0.000 0.433
O35 0.458 0.611 0.923
O36 0.506 0.650 0.225
O37 0.534 0.292 0.141
O38 0.560 0.330 0.599
O39 0.572 0.066 0.056
O40 0.585 0.821 0.025
O41 0.590 0.610 0.604
O42 0.607 0.464 0.357
O43 0.612 0.097 0.822
O44 0.616 0.811 0.373
O45 0.643 0.986 0.610
O46 0.646 0.363 0.876
O47 0.647 0.505 0.068
O48 0.656 0.995 0.253
O49 0.684 0.665 0.813
O50 0.708 0.913 0.861
O51 0.710 0.160 0.459
O52 0.743 0.263 0.275
O53 0.787 0.220 0.706
O54 0.788 0.789 0.146
O55 0.816 0.264 0.033
O56 0.825 0.373 0.486
O57 0.827 0.480 0.717
O58 0.834 0.653 0.494
O59 0.859 0.972 0.406
O60 0.872 0.034 0.129
O61 0.879 0.944 0.661
O62 0.883 0.576 0.948
O63 0.903 0.501 0.175
O64 0.925 0.097 0.868
O65 0.930 0.845 0.918
O66 0.946 0.698 0.728
O67 0.976 0.208 0.545
O68 0.981 0.372 0.839


SrH2Br2O7: optimized geometry, PBE.

Results
Symmetry = C2/c
Formation enthalpy at 0 K = -1170 meV/atom
Density = 3.6 g/cm3

Cell: 7.611 7.611 9.005 Å, 125.89 125.89 61.58°
Atoms (fractional coordinates):
Sr1 0.149 0.851 0.750
Sr2 0.851 0.149 0.250
H1 0.215 0.717 0.135
H2 0.283 0.785 0.365
H3 0.717 0.215 0.635
H4 0.785 0.283 0.865
Br1 0.286 0.330 0.305
Br2 0.330 0.286 0.805
Br3 0.670 0.714 0.195
Br4 0.714 0.670 0.695
O1 0.096 0.190 0.622
O2 0.176 0.824 0.250
O3 0.190 0.096 0.122
O4 0.223 0.401 0.487
O5 0.245 0.567 0.900
O6 0.401 0.223 0.987
O7 0.433 0.755 0.600
O8 0.567 0.245 0.400
O9 0.599 0.777 0.013
O10 0.755 0.433 0.100
O11 0.777 0.599 0.513
O12 0.810 0.904 0.878
O13 0.824 0.176 0.750
O14 0.904 0.810 0.378


SnF2: optimized geometry, PBE.

Results
Symmetry = P4_12_12
Formation enthalpy at 0 K = -2568 meV/atom
Density = 4.5 g/cm3
Largest piezoelectric modulus = 0.0 C/m2

Cell: 5.230 5.230 8.492 Å, 90.00 90.00 90.00°
Atoms (fractional coordinates):
Sn1 0.004 0.004 0.000
Sn2 0.496 0.504 0.250
Sn3 0.504 0.496 0.750
Sn4 0.996 0.996 0.500
F1 0.142 0.257 0.671
F2 0.243 0.642 0.921
F3 0.257 0.142 0.329
F4 0.358 0.757 0.579
F5 0.642 0.243 0.079
F6 0.743 0.858 0.829
F7 0.757 0.358 0.421
F8 0.858 0.743 0.171


Ba2YBr7: optimized geometry, PBE.

Results
Symmetry = P2_1/c
Formation enthalpy at 0 K = -2399 meV/atom
Density = 3.5 g/cm3
ΔE to the lowest computed polymorph = 54.4 meV per atom

Cell: 7.686 18.239 14.663 Å, 90.00 121.27 90.00°
Atoms (fractional coordinates):
Ba1 0.121 0.010 0.323
Ba2 0.121 0.490 0.823
-- stop --

Wanted
Next, search the data further up for the word "Br4" and restate each line that has it.

Done
Br4 0.714 0.670 0.695